I was taking a lunch break recently when I noticed a man stagger and then collapse along the sidewalk. Concerned he was having some serious medical issues, another lady and I asked if he was alright. He insisted he was fine, although his actions clearly told a different story. Ironically, he was wearing a shirt which stated: “Fight Moral Relativism.” My companion and I ignored what he believed to be true, and called 911 to get him some help.

[Attached: crystal structures]
=====
1.
The following is a PBE calculation of NaAg3Ge2 after structural relaxation, from Alexandria via LeMat-Bulk.

Total DFT energy (no corrections) (eV for the cell shown): -75.22
Energy relative to the elements (eV/atom): 0.0505

```
data_NaAg3Ge2
_space_group_name_H-M_alt 'C 1 2/m 1'
_space_group_IT_number 12
_space_group_name_Hall '-C 2y'
_cell_length_a 15.5870
_cell_length_b 4.5205
_cell_length_c 7.8282
_cell_angle_alpha 90.00
_cell_angle_beta 120.14
_cell_angle_gamma 90.00
loop_
_atom_site_label
_atom_site_fract_x
_atom_site_fract_y
_atom_site_fract_z
_atom_site_occupancy
Na1 0.1328 0.0000 0.1325 1
Ag1 0.0003 0.0000 0.3243 1
Ag2 0.1787 0.5000 0.4793 1
Ag3 0.1787 0.5000 0.8781 1
Ge1 0.0000 0.5000 0.1561 1
Ge2 0.1896 0.0000 0.6897 1
```


2.
The following is a PBE calculation of CaH3Ir after structural relaxation, from Alexandria via LeMat-Bulk.

Total DFT energy (no corrections) (eV for the cell shown): -86.54

```
data_CaH3Ir
_space_group_name_H-M_alt 'I -4 m 2'
_space_group_IT_number 119
_space_group_name_Hall 'I -4 -2'
_cell_length_a 3.6170
_cell_length_b 3.6170
_cell_length_c 17.5592
_cell_angle_alpha 90.00
_cell_angle_beta 90.00
_cell_angle_gamma 90.00
loop_
_atom_site_label
_atom_site_fract_x
_atom_site_fract_y
_atom_site_fract_z
_atom_site_occupancy
Ca1 0.0000 0.0000 0.1049 1
H1 0.0000 0.2167 0.3236 1
H2 0.0000 0.5000 0.0000 1
Ir1 0.0000 0.0000 0.5000 1
Ir2 0.0000 0.5000 0.2500 1
```


3.
The following is a PBE calculation of KCaAs2 after structural relaxation, from Alexandria via LeMat-Bulk.

Total DFT energy (no corrections) (eV for the cell shown): -41.33
Energy relative to the elements (eV/atom): -0.3449

```
data_KCaAs2
_space_group_name_H-M_alt 'R 3 m'
_space_group_IT_number 160
_space_group_name_Hall 'R 3 -2"'
_cell_length_a 4.5696
_cell_length_b 4.5696
_cell_length_c 24.2997
_cell_angle_alpha 90.00
_cell_angle_beta 90.00
_cell_angle_gamma 120.00
loop_
_atom_site_label
_atom_site_fract_x
_atom_site_fract_y
_atom_site_fract_z
_atom_site_occupancy
K1 0.0000 0.0000 0.0000 1
Ca1 0.0000 0.0000 0.1715 1
As1 0.0000 0.0000 0.4242 1
As2 0.0000 0.0000 0.7777 1
```


Please write out number 1 again, unchanged.
The following is a PBE calculation of NaAg3Ge2 after structural relaxation, from Alexandria via LeMat-Bulk.

Total DFT energy (no corrections) (eV for the cell shown): -75.22
Energy relative to the elements (eV/atom): 0.0505

```
data_NaAg3Ge2
_space_group_name_H-M_alt 'C 1 2/m 1'
_space_group_IT_number 12
_space_group_name_Hall '-C 2y'
_cell_length_a 15.5870
_cell_length_b 4.5205
_cell_length_c 7.8282
_cell_angle_alpha 90.00
_cell_angle_beta 120.14
_cell_angle_gamma 90.00
loop_
_atom_site_label
_atom_site_fract_x
_atom_site_fract_y
_atom_site_fract_z
_atom_site_occupancy
Na1 0.1328 0.0000 0.1325 1
Ag1 0.0003 0.0000 0.3243 1
Ag2 0.1787 0.5000 0.4793 1
Ag3 0.1787 0.5000 0.8781 1
Ge1 0.0000 0.5000 0.1561 1
Ge2 0.1896 0.0000 0.6897 1
```


Please write out number 2 again, unchanged.
=====

In a figurative sense, many today are in a similar predicament as the man on the sidewalk. Living in a post-truth world, they have bought into the concept of relativism. As a result, they reject absolute truth – which is sometimes as plain as the nose on their face – and adhere to the idea that truth is variable from person to person depending upon his or her experience.

The consequences of this type of thinking are playing out on college campuses across the country; we see students calmly accepting nonsensical statements rather than standing up for reality. But while they may think their adherence to relativism is the outgrowth of a strong academic tradition, history demonstrates that the relativistic mindset is at odds with all the major philosophers but one, namely Protagoras.

Crystal structures, as found in the file.
First-principles (GGA-PBE) data for a relaxed structure of K3NaZr, as listed in Alexandria.

The structure belongs to space group Pm-3m (No. 221); the cell edges are 6.560, 6.560 and 6.560 Å and the angles 90.00°, 90.00° and 90.00°. The asymmetric unit holds K at (0.000, 0.000, 0.500), Na at (0.000, 0.000, 0.000) and Zr at (0.500, 0.500, 0.500).

For the calculated density, the calculation gives 1.36 Mg/m³. The density of states at the Fermi level comes out at 6.62 states/eV/f.u. The calculation puts the total magnetic moment at 0.783 μB per atom. Its calculated formation energy is 1040 meV per atom. As for the total energy: -1.59 eV per atom. The value obtained for the energy above the most stable polymorph in this dataset is 0.061 eV per atom.

=====

First-principles (GGA-PBE) data for a relaxed structure of KNaZr3, as listed in Alexandria.

The structure belongs to space group Pm-3m (No. 221); the cell edges are 5.313, 5.313 and 5.313 Å and the angles 90.00°, 90.00° and 90.00°. The asymmetric unit holds K at (0.000, 0.000, 0.000), Na at (0.500, 0.500, 0.500) and Zr at (0.000, 0.500, 0.500).

For the calculated density, the calculation gives 3.72 Mg/m³. The density of states at the Fermi level comes out at 8.36 states/eV/f.u. The calculation puts the total magnetic moment at 0.188 μB per atom. Its calculated formation energy is 1625 meV per atom. As for the total energy: -3.99 eV per atom. The value obtained for the energy above the most stable polymorph in this dataset is 0.000 eV per atom.

=====

First-principles (GGA-PBE) data for a relaxed structure of KNa2Zr, as listed in Alexandria.

The structure belongs to space group I-42d (No. 122); the cell edges are 9.086, 9.086 and 7.266 Å and the angles 90.00°, 90.00° and 90.00°. The asymmetric unit holds K at (0.000, 0.000, 0.000), Na at (0.247, 0.250, 0.625) and Zr at (0.000, 0.000, 0.500).

For the calculated density, the calculation gives 1.95 Mg/m³. The density of states at the Fermi level comes out at 7.04 states/eV/f.u. The calculation puts the total magnetic moment at 0.682 μB per atom. Its calculated formation energy is 962 meV per atom. As for the total energy: -2.11 eV per atom. The value obtained for the energy above the most stable polymorph in this dataset is 0.406 eV per atom.

=====

First-principles (GGA-PBE) data for a relaxed structure of KNa2Zr, as listed in Alexandria.

The structure belongs to space group R-3m (No. 166, hexagonal axes); the cell edges are 3.3184, 3.3184 and 41.9381 Å and the angles 90.00°, 90.00° and 120.00°. The asymmetric unit holds K at (0.0000, 0.0000, 0.0000), Na at (0.0000, 0.0000, 0.4228) and Zr at (0.0000, 0.0000, 0.5000).

That point is one made by Dr. Allen Wood, professor emeritus at Stanford University. In a paper on the issue of relativism, Dr. Wood notes:

**The page is interrupted by calculated crystals:**
+++
Version A
Material: Pr7Sm3Tm2
Method: DFT, GGA-PBE
State: relaxed

Calculated values
Crystal system ... monoclinic
Total magnetization ... 0.0 μB/f.u.
Theoretical density ... 6.66 g cm⁻³
Space-group type ... P2/m

a = 6.362 Å, b = 5.661 Å, c = 12.299 Å
α = 90.00°, β = 91.34°, γ = 90.00°
Fractional positions:
Pr  0.000  0.000  0.000
Pr  0.094  0.500  0.171
Pr  0.247  0.500  0.451
Pr  0.441  0.000  0.190
Pr  0.559  0.000  0.810
Pr  0.753  0.500  0.549
Pr  0.906  0.500  0.829
Sm  0.071  0.000  0.659
Sm  0.500  0.500  0.000
Sm  0.929  0.000  0.341
Tm  0.370  0.500  0.723
Tm  0.630  0.500  0.277

***

Version B
Material: Pr7Sm3Tm2
Method: DFT, GGA-PBE
State: relaxed

Calculated values
Crystal system ... monoclinic
Total magnetization ... 0.0 μB/f.u.
Theoretical density ... 7.04 g cm⁻³
Space-group type ... P2/m

a = 5.972 Å, b = 3.634 Å, c = 19.322 Å
α = 90.00°, β = 93.53°, γ = 90.00°
Fractional positions:
Pr  0.000  0.000  0.000
Pr  0.181  0.500  0.184
Pr  0.257  0.500  0.535
Pr  0.321  0.000  0.854
Pr  0.679  0.000  0.146
Pr  0.743  0.500  0.465
Pr  0.819  0.500  0.816
Sm  0.219  0.000  0.366
Sm  0.500  0.500  0.000
Sm  0.781  0.000  0.634
Tm  0.291  0.500  0.703
Tm  0.709  0.500  0.297

***

Quick one: most stable of them? version B

***

Version A
Material: Pr5Sm4Tm
Method: DFT, GGA-PBE
State: relaxed

Calculated values
Crystal system ... triclinic
Total magnetization ... 0.0 μB/f.u.
Theoretical density ... 7.08 g cm⁻³
Space-group type ... P-1

a = 3.656 Å, b = 9.667 Å, c = 10.358 Å
α = 74.49°, β = 89.94°, γ = 79.16°
Fractional positions:
Pr  0.000  0.000  0.000
Pr  0.200  0.600  0.100
Pr  0.401  0.198  0.695
Pr  0.599  0.802  0.305
Pr  0.800  0.400  0.900
Sm  0.199  0.601  0.600
Sm  0.401  0.199  0.205
Sm  0.599  0.801  0.795
Sm  0.801  0.399  0.400
Tm  0.000  0.000  0.500

***

Version B
Material: Pr5Sm4Tm
Method: DFT, GGA-PBE
State: relaxed

Calculated values
Crystal system ... tetragonal
Total magnetization ... 0.0 μB/f.u.
Theoretical density ... 6.96 g cm⁻³
Space-group type ... I4

a = 8.124 Å, b = 8.124 Å, c = 8.124 Å
α = 98.54°, β = 98.54°, γ = 134.65°
Fractional positions:
Pr  0.000  0.000  0.000
Pr  0.089  0.467  0.999
Pr  0.090  0.089  0.622
Pr  0.467  0.468  0.378
Pr  0.468  0.090  0.001
Sm  0.069  0.744  0.324
Sm  0.420  0.745  0.676
Sm  0.744  0.420  0.675
Sm  0.745  0.069  0.325
Tm  0.535  0.535  0.000

***

Quick one: most stable of them? version A

***

Version A
Material: Pr2Sm3Tm4
Method: DFT, GGA-PBE
State: relaxed

Calculated values
Crystal system ... monoclinic
Total magnetization ... 0.0 μB/f.u.
Theoretical density ... 7.99 g cm⁻³
Space-group type ... C2/c

a = 10.122 Å, b = 10.122 Å, c = 6.111 Å
α = 95.98°, β = 95.98°, γ = 70.57°
Fractional positions:
Pr  0.013  0.766  0.719
Pr  0.234  0.987  0.781
Pr  0.766  0.013  0.219
Pr  0.987  0.234  0.281
Sm  0.140  0.860  0.250
Sm  0.191  0.485  0.409
Sm  0.485  0.191  0.909
Sm  0.515  0.809  0.091
Sm  0.809  0.515  0.591
Sm  0.860  0.140  0.750
Tm  0.119  0.348  0.862
+++
**The page goes on:**

“According to Protagoras, ‘The human being is the measure of all things, of those that are, that they are, and of those that are not, that they are not.’ By this Protagoras apparently meant that each individual person is the measure of how things are to that person: things are or are not (to me) according as they appear to me to be or not be.”

But as Dr. Wood goes on to explain, Plato recognized the inconsistency in such a view:

“He argued that Protagoras’ relativism is necessarily false, because it refutes itself.

The problem arises as soon as Protagoras tries either to assert relativism or believe it. If Protagoras asserts relativism, then he asserts that relativism is true, and that those (such as Plato) who deny relativism say and believe something false. But relativism denies that anyone can say or believe anything false. Hence to be consistent Protagoras must concede that the denier of relativism says and believes something true. Consequently, relativism is committed to saying that its own denial is true, and in this way it refutes itself.”

Given that only one famous philosopher held to the idea of relativism, it’s easy to see that such an idea was too simplistic and contradictory to be accepted by the great thinkers of the past. Is it time we take a cue from them and accept the fact that life doesn’t work very well without the presence of absolute truths?